by Sarah | Jun 10, 2014 | 500k, Books, Challenge, Changing Tracks, Dark Territory, Derailed, Escaping Humanity, Goals, Holiday, The Tribe, Writing
It’s been a while since I checked in on the 2014 forecast for me and my writing. I meant this as a monthly check-in type of deal and thought maybe I should get back on that. So, months after my last update, let’s see where I am.
So first, the overall goals I’d set – with where I am now.
- I’ve challenged myself to write 600,000 words in 2014. (258,159 C as of 6/8/14 9:53PM)
- I will finish books 4 & 5 of the Dominion Falls series and submit by February 8th – I did submit on 2/17/14 & both books were accepted/contracted. Releases in August’14 and January’15.
- I will fine-tune and perfect Leap (Hidden Senses #.5) for publication. It goes to my editor on July 1st, then to the proofreader.
- I will build my audience and work harder at promotion. I am not doing enough with this. Need to get out more.
- I will find focus (see below), and figure out how to USE it. I am working on this. Some days I do great, others not so much. Call me a work in progress.
And for my list of projects. Items in RED are done. Items in ORANGE are in progress (or progress notes). Items in BLUE are new. Some of the new items are in blue with the progress I’ve made in orange.
- Runaway Train (Dominion Falls 5) – 113k
- Stalled Independence (Lake Point #3) – 35k
- Katherine’s Story (Dominion Falls Prequel) – 48k – Named finally. Independent Brake
- Into a Mirror Darkly (Morgana Chronicles 1) – 100k (~10k done)
- Witch Way (Lake Point #4) – 30k (1k done)
- A Thorough Thanksgiving (Lake Point #5) – 30k
- The Tribe (The Tribe #1) – 85k
- The Wolf (The Tribe #2) – 85k (24395 done)
- Natural Selection – 40k (6921 done)
- Hybrid – unknown…going to do as “Chapters” not full length novel.
- The Dead Past (Dominion Falls 6-temporary name) – 100k
- The Chief (The Tribe #3) – 85k
- The Raven (The Tribe #4) – 85k
- Escaping Humanity (Co-authoring w/ Mary Terrani) – 100k (22k done)
I’m quite certain at this point that I’m forgetting something. I do know that not on the list, but completed is setting an editing schedule with my editor. I’ve also come up with an idea for a new series, but it has to go on hold while I work my way through that crazy list up there.
Overall, I’m happy with my progress. Despite some crazy real life stuff and my typical propensity for distraction, I’ve almost reached the halfway point on my insane 600k goal. I have plenty of stories that are in progress or just need editing. I have ideas ready for next years holidays series, and my brain has not imploded yet. So yay me. 🙂
Seriously, though. I expect items to be added to my list now that I’ve managed to check a few off. First, I need to finish Witch Way, The Wolf, & The Chief before I can seriously contemplate what to add to the list. Once I read the “There’s more red than black/orange” point, I know I have to start thinking toward the future.
So one last goal right now is to adjust and add to all my goals next month, and get The Wolf and Witch Way completed.
(P.S. Having that editing schedule set means a crap ton of books this year, people…seriously, it’s cah-razy).
by Sarah | Jun 8, 2014 | Books, Tuesday Tales, Writing
Welcome back to Tuesday Tales! This weeks prompt is to be inspired by this picture. The hardest part about picture prompts is always the 300 word limit. I did have another post all ready to go, but it was 1200 words and that would have gotten me in trouble 😉
This week I return to that historical paranormal I was working on a while back, Natural Selection. In our last segment some months back, Leilyn told Dell he’d better figure out what she meant after she’d berated him for allowing is father to use her as a pawn to draw in her pack–especially when Dell has a way to wipe away her old pack’s claim.
Now we join them again…and let’s see how Dell is coping with this:
Leilyn lay in the field behind Olive’s home. In twelve hours her ‘uncle’ would be there with the pack, no doubt ready for attack. The field around her sat oddly silent, not filled with children playing as it had been in the days since she’d arrived.
In the sky above her the first curling mass of storm clouds began to twist and turn in chaotic, senseless dips and turns. The sensation was oddly similar to her current emotional state.
While her head and perhaps a base instinct told her she was where she belonged, the itching burn on her ankle tugged her in another direction. Plus, she hadn’t been treated poorly all her life, she’d been treated with care and almost esteem. It wasn’t until her uncle tried to force an unnatural mating that she’d run.
Now, there was Dell.
He stirred within her a base instinct. One she’d been kept from acting on. One that drew her to him. One that told her he approached.
She smiled and closed her eyes, wondering what he’d attempt this time. For the past day he’d been attempting to woo her like a school girl. Flowers and treats, small tokens meant to show affection.
“Afternoon, Dell.” She opened her eyes.
He quirked a brow, but said nothing.
“What have you brought me this time?”
“Nothing.” Perhaps he was finally getting the point. Still, though she waited several minutes, he didn’t move an inch.
With a sigh, she propped herself on her elbows and turned her gaze away. Right when she was ready to tease his lack of imagination, he dropped to his knees behind her and grabbed her shoulders.
His nose brushed along her bare neck, and he sighed out a growl. “Duty keeps me from claiming you. Not ineptitude.”
“Duty is overrated.”
Hope you enjoyed it! Click on the Tuesday Tales badge to see more excellent entries!!

by Sarah | Jun 7, 2014 | Books, Holiday, WeWriWa, Writing

Welcome back to the Weekend Writing Warriors!

This will be my last week with Michaela and Tag. I adore them, and clearly you all do as well…but it’s time to share other stories with you…such a shame because we’re just at the meat of the story…but you know what they say – leave ’em wanting more, right?
In this 8, Michaela finally let her new assistant manager run the store for a night. He did really well, and she’d just admitted as much, adding in a hint of praise. This is his reaction:
With every word he’d brightened more, until a beaming smile warmed over half the doubts right out of her cold heart, “So do I get a passing grade?”
She chuckled and shook her head, “This isn’t school.”
“Too bad.”
“What? Why?”
“Because then I could start singing ‘Hot for Teacher’.”
“Oh my God,” She buried her face in her hands, the tingling burn of a blush creeping up from head to toe. “Owen!”
*A little creative editing involved to make the 8.
If you want more of these wonderful two…pick up a copy! It doesn’t have to be Valentine’s Day to enjoy this May/December romance…It’s plenty hot enough for summer. 😀
| Amazon | SCP | BN | ARe |
Michaela O’Keefe is in over her head with her restaurant, The Midway. Her ad for an assistant manager brings Owen “Tag” Montague to her doorstep. With an impeccable resume and dozens of letters of recommendation, she has little choice but to give him a chance. Ten years her junior, Tag sets her long-dead libido humming, but she gave up on love and her instincts on men years ago.
Tag has had a crush on his new boss since his youth, but he’s determined to prove he can do the job. Still, he can’t resist the urge to make her blush down to her toes as often as possible. He knows her rough past in life and love makes it hard to trust, and he’s wary of crossing the line he so desperately wants to.
Just when they manage to figure out how to work and play together, Michaela’s ex does all he can to destroy their budding love. When push comes to shove Michaela’s inability to give Tag the benefit of the doubt might destroy everything.
Learning to trust herself again is the hardest lesson Michaela will ever have to learn – and by the time she does, it may be too late for love.
Head back on over to the Weekend Writing Warriors to read many more wonderful offerings!
by Sarah | Jun 1, 2014 | Books, The Tribe, Tuesday Tales, Writing
Welcome back to Tuesday Tales! This weeks prompt is to be inspired by the word Bottom.
I had intended on returning to Natural Selection for this week, but then as I was writing the next installment of The Tribe series – The Wolf, bottom naturally appeared. I figured I might as well get it down while the getting was good. 🙂
To set the scene, it’s been six very long years since Kane and Velli have seen each other. Torturous in many ways for both of them, but Kane finally found her. She fought him tooth and nail the night before, causing many bruises when Kane tried to keep her still, but there are others that were not by his hand. When she finally slept, Kane relaxed, hoping he might break through her resistance to help.
Kane’s offer to help is in more ways than one. He is a Shifter, and he has Healing magic. His own body heals easily…but he can also heal minor injuries in others, and he wants to heal her wounds…both the obvious ones, and the ones in her soul. She is his mate, although she has yet to believe him when he says so:
Velli stirred in his arms, her soft whimper as she sat up drew his attention away from his dark musings. In an effort to keep her calm, Kane shut his eyes as if he slept to allow her to do what she felt she needed to. He’d only react if she tried to attack or escape.
Once she’d stood and crossed the room, he opened his eyes a crack to keep an eye on her. There were bruises on her wrists from their struggle the night before, and his Healing magic told him there were more.
She had fought tooth and nail against him, but knowing her fight had caused them didn’t lessen his guilt over the injuries. He would make amends and Heal them. Then maybe, just maybe, she’d be calm enough to let him talk.
Once she disappeared behind the bathroom door, he sat. He exhaled a long breath and scrubbed his hand over his face. This would not be an easy day, and to make matters worse he’d found her the day before a full moon. The fates were conspiring against him, for the full moon meant pain for them both, and would add to Velli’s crankiness.
The shower turned on, the drumming of droplets on the tub’s bottom thumped in his ears. A few seconds later he knew she stepped in by the change in sound. Maybe he’d make coffee, have it ready for her when she got out. Perhaps over neutral territory like coffee they could get everything started.
A deep sob broke through the steady patter of water. Kane flew to his feet. Maybe he’d imagined it. No, there was another one. She was crying now, he knew it, and trying to hide behind the sounds of the shower.
His heart wrenched. For far too long he’d been away from her, unable to aid her suffering. He wouldn’t let her grieve alone when he was right there. Even if he might be the cause of her tears, or because he probably was the reason. No matter the why’s, he wouldn’t stand by.
On the way to the bathroom, he stripped down with an easy grace. Modern belief held that Native’s were modest about their bodies, and most were. That was a behavior and belief system instilled in the known tribes when they broke off from the core magical Tribe they’d been created out of, and became mostly human. The core Tribe held the balance of Shifters.
To protect what they were, the Tribe made sure all descendant natives became modest, so the Shifters that couldn’t afford to be modest would be safer. It is hard to believe a culture that is naturally modest would so easily shed clothes to Shift, after all.
At the bathroom door Kane hesitated. He took a moment to brace himself against whatever attack she’d launch before he entered.
When the door opened there was no reaction from the shower. Her soft sobs echoed out from behind the curtain. He pushed aside the barrier between them, doing his best to not flinch when her shriek echoed through the enclosed space.
“Vels.” His heart ached to have her shrink back from him. Still, he didn’t hesitate to step into the shower. “I’m not going to hurt you.”
“Go away.” She turned her back on him, but didn’t run away or attack. Was that really good, or terrible? What was it Lily had once said about her? Velli is volatile.
She certainly was. Kane stepped closer, the water hit his feet in rapid beats now. “Let me help you. Just this once.”
“Why? So you can betray me again? Go away.”
He touched her shoulder before pulling on it gently. Once she’d turned to face him, he brushed some tears from her cheek. With a sigh, he pulled her close and relaxed when she didn’t fight him. He closed his eyes and rested his cheek on the top of her head when she rested her forehead on his chest and let out another gut-wrenching sob.
“It’s not your fault,” she spoke through hiccups. “I was marked for this long before you. You just made it worse.”
“Well I’m here to make it better.”
“You can’t. Nobody can.”
“I’m a Healer. I can make anything better.”
“It’s too late for me.”
“It’s never too late.”
Hope you enjoyed it! Click on the Tuesday Tales badge to see more excellent entries!!

by Sarah | May 31, 2014 | Books, Holiday, WeWriWa, Writing

Welcome back to the Weekend Writing Warriors!

Inserted here: crystal structures >
=====
For HoSc2Hg5, a GGA-PBE-relaxed structure gives the calculated powder X-ray diffraction pattern in this record (Cu Kα, 1.54184 Å).
Neutral-atom scattering factors, no anomalous dispersion.

Unit cell a=5.0080 b=5.0080 c=14.4601 alpha=90.00 beta=90.00 gamma=90.00
Fractional coordinates of all 16 atoms:
1 Ho 0.0000 0.0000 0.0000
2 Ho 0.5000 0.5000 0.5000
3 Sc 0.0000 0.0000 0.2614
4 Sc 0.0000 0.0000 0.7386
5 Sc 0.5000 0.5000 0.2386
6 Sc 0.5000 0.5000 0.7614
7 Hg 0.0000 0.0000 0.5000
8 Hg 0.0000 0.5000 0.1320
9 Hg 0.0000 0.5000 0.3680
10 Hg 0.0000 0.5000 0.6320
11 Hg 0.0000 0.5000 0.8680
12 Hg 0.5000 0.0000 0.1320
13 Hg 0.5000 0.0000 0.3680
14 Hg 0.5000 0.0000 0.6320
15 Hg 0.5000 0.0000 0.8680
16 Hg 0.5000 0.5000 0.0000

Top 12 peaks for 2θ from 10° to 90°, in order of rising 2θ:
2θ 12.2, 7.230 Å, I = 8; 2θ 25.1, 3.541 Å, I = 9; 2θ 28.1, 3.180 Å, I = 14; 2θ 35.5, 2.530 Å, I = 100; 2θ 35.9, 2.504 Å, I = 50; 2θ 50.5, 1.808 Å, I = 9; 2θ 51.6, 1.771 Å, I = 18; 2θ 63.5, 1.466 Å, I = 17; 2θ 64.2, 1.451 Å, I = 36; 2θ 75.1, 1.265 Å, I = 11; 2θ 86.8, 1.122 Å, I = 8; 2θ 87.0, 1.120 Å, I = 9

***

For Ho2ScHg4, a GGA-PBE-relaxed structure gives the calculated powder X-ray diffraction pattern in this record (Cu Kα, 1.54184 Å).
Neutral-atom scattering factors, no anomalous dispersion.

Unit cell a=9.0627 b=9.0627 c=9.0627 alpha=31.83 beta=31.83 gamma=31.83
Fractional coordinates of all 7 atoms:
1 Ho 0.2463 0.2463 0.2463
2 Ho 0.7537 0.7537 0.7537
3 Sc 0.0000 0.0000 0.0000
4 Hg 0.1274 0.1274 0.1274
5 Hg 0.3710 0.3710 0.3710
6 Hg 0.6290 0.6290 0.6290
7 Hg 0.8726 0.8726 0.8726

Top 12 peaks for 2θ from 10° to 90°, in order of rising 2θ:
2θ 21.8, 4.083 Å, I = 24; 2θ 24.9, 3.580 Å, I = 32; 2θ 34.8, 2.580 Å, I = 100; 2θ 36.1, 2.485 Å, I = 93; 2θ 51.0, 1.790 Å, I = 34; 2θ 61.4, 1.509 Å, I = 18; 2θ 64.1, 1.453 Å, I = 34; 2θ 65.0, 1.435 Å, I = 17; 2θ 73.4, 1.290 Å, I = 11; 2θ 76.7, 1.243 Å, I = 11; 2θ 84.6, 1.145 Å, I = 15; 2θ 87.0, 1.120 Å, I = 16

***

For HoSc3Hg2, a GGA-PBE-relaxed structure gives the calculated powder X-ray diffraction pattern in this record (Cu Kα, 1.54184 Å).
Neutral-atom scattering factors, no anomalous dispersion.

Unit cell a=4.8770 b=8.7046 c=6.7425 alpha=90.00 beta=90.00 gamma=90.00
Fractional coordinates of all 12 atoms:
1 Ho 0.0000 0.0500 0.0000
2 Ho 0.0000 0.9500 0.5000
3 Sc 0.0000 0.3304 0.6627
4 Sc 0.0000 0.6696 0.1627
5 Sc 0.5000 0.1822 0.3104
6 Sc 0.5000 0.4506 0.9711
7 Sc 0.5000 0.5494 0.4711
8 Sc 0.5000 0.8178 0.8104
9 Hg 0.0000 0.3509 0.2326
10 Hg 0.0000 0.6491 0.7326
11 Hg 0.5000 0.1539 0.7408
12 Hg 0.5000 0.8461 0.2408

Top 12 peaks for 2θ from 10° to 90°, in order of rising 2θ:
2θ 10.2, 8.705 Å, I = 20; 2θ 24.3, 3.657 Å, I = 54; 2θ 24.7, 3.598 Å, I = 73; 2θ 33.6, 2.665 Å, I = 35; 2θ 33.9, 2.642 Å, I = 100; 2θ 36.0, 2.494 Å, I = 74; 2θ 36.9, 2.438 Å, I = 48; 2θ 44.7, 2.029 Å, I = 23; 2θ 45.2, 2.005 Å, I = 22; 2θ 45.4, 1.997 Å, I = 18; 2θ 45.7, 1.987 Å, I = 19; 2θ 50.7, 1.799 Å, I = 22

***
=====

So Michaela and the young Tag have found common ground. Is that enough for the two of them?
In this 8, Tag is working on the Nova he spoke of…when Michaela shows up:
“You’ll never manage it that way.” Michaela’s voice shocked both men into jumping.
Tools clanged against cement, and Tag jumped so high, he hit his forehead on the bolt, in the exact spot the wrench had clocked him minutes ago. “Ow, damn it. Son of a—”
Michaela giggled, a foreign sound to Tag’s ears, but so welcome it almost overrode his pain. Almost. “Didn’t mean to scare you guys, I thought you heard me walking in.”
*No creative editing for a change this week.
| Amazon | SCP | BN | ARe |
Michaela O’Keefe is in over her head with her restaurant, The Midway. Her ad for an assistant manager brings Owen “Tag” Montague to her doorstep. With an impeccable resume and dozens of letters of recommendation, she has little choice but to give him a chance. Ten years her junior, Tag sets her long-dead libido humming, but she gave up on love and her instincts on men years ago.
Tag has had a crush on his new boss since his youth, but he’s determined to prove he can do the job. Still, he can’t resist the urge to make her blush down to her toes as often as possible. He knows her rough past in life and love makes it hard to trust, and he’s wary of crossing the line he so desperately wants to.
Just when they manage to figure out how to work and play together, Michaela’s ex does all he can to destroy their budding love. When push comes to shove Michaela’s inability to give Tag the benefit of the doubt might destroy everything.
Learning to trust herself again is the hardest lesson Michaela will ever have to learn – and by the time she does, it may be too late for love.
Head back on over to the Weekend Writing Warriors to read many more wonderful offerings!
by Sarah | May 19, 2014 | Books, Changing Tracks, Tuesday Tales, Writing
Welcome back to Tuesday Tales! This weeks prompt is to be inspired by this picture.
Goodness I’m running behind this week, and I’m sorry. Life was rather up and down and all around…and a sick kid at home today wasn’t very inspirational to writing. Anyhow…my prompt is rather inspired by this picture as I’m still in Kat’s story and a historical western would not have a mailbox or an electric lightbulb…I’m sort of bare-bones on the details…but anyhow. After a couple of months back in Dominion Falls, Kat has spent her time having fun with Cole, but as that devolves from pure sex into friendship, she has rather upped her pursuit of the older Norman…but today he has a surprise for her:
They hadn’t gone quite a quarter of a mile before the small homestead came into view. She remembered the homestead being half-finished, devoid of life, before she’d left Dominion Falls. She couldn’t even remember who’d been building it, but she had noticed when she moved back that it had come to life, although it still seemed to be without an occupant.
Someone had finished the home finally, and painted it a cheery yellow. Though the homestead was empty, chairs perched on the small porch, just waiting for occupants.
Much to Kat’s surprise, Norman slowed to a stop in front of the small home.
“I was buildin’ it for Betsy, then she up and died.”
She gasped and eyed the house. “I’d forgotten it was yours. You left it to rot after she passed. When I left there was no porch or windows. Did someone buy it?”
“Nah. Lots of promises I didn’t keep. Few years ago I figured I’d finish one promise and fixed it up real nice. Thought I might sell it, but ain’t been able to let it go.”
“Understandable. I’m sure Elizabeth would have loved it. I remember she wore yellow all the time.”
“Was her favorite color. But she’s gone now. It’s time to let go, I s’pose.”
“Only you can know if it’s time.”
“Thought maybe you’d wanna live here so’s you can get outta Cora’s place, I mean.”
“What?” Kat dropped her hand from his arm and took a step back.
“I’d rent it to ya, if ya want. If not, I’ll probably sell it.”
“I couldn’t live in Betsy’s house. It’s a lovely gesture, and I appreciate the kindness, but it wouldn’t be right, me living there what with you ready to move on…”
“I reckon I am. Been nine years, after all.”
Hope you enjoyed it! Click on the Tuesday Tales badge to see more excellent entries!!
